Entries:
[1]
InAsSe2: relaxed, PBE.

POSCAR file:
```
InAsSe2
1.0
3.821 0.000 0.000
0.000 3.848 0.000
0.000 0.000 7.457
In As Se
1 1 2
Cartesian
0.000 0.000 0.000 In
1.911 0.000 3.728 As
0.000 1.924 3.728 Se
1.911 1.924 0.000 Se
```

space-group type: Pmmm (47)
ΔE_f (raw): 0.048 eV/atom
Fermi-level density of states: 2.23 states/eV/f.u.


[2]
ZrFeNi2Os: relaxed, PBE.

POSCAR file:
```
ZrFeNi2Os
1.0
4.256 0.000 0.000
0.000 4.256 0.000
0.000 0.000 4.463
Zr Fe Ni Os
1 1 2 1
Cartesian
0.000 0.000 0.000 Zr
2.128 2.128 2.231 Fe
0.000 2.128 2.231 Ni
2.128 0.000 2.231 Ni
2.128 2.128 0.000 Os
```

formation energy from the elements: 63.3 kJ/mol of atoms
space-group type: P4/mmm (123)
Fermi-level density of states: 5.72 states/eV/f.u.


[3]
Cu4C: relaxed, PBE.

POSCAR file:
```
Cu4C
1.0
3.848 0.000 0.000
0.000 3.848 0.000
0.000 0.000 3.848
Cu C
4 1
Cartesian
0.000 0.000 0.000 Cu
0.000 1.924 1.924 Cu
1.924 0.000 1.924 Cu
1.924 1.924 0.000 Cu
1.924 1.924 1.924 C
```

formation energy from the elements: 38.1 kJ/mol of atoms
space-group type: Pm-3m (221)
energy relative to the lowest polymorph listed for this composition: 0 kJ/mol of formula units
Fermi-level density of states: 2.52 states/eV/f.u.


[4]
Sb3RuBr: relaxed, PBE.

POSCAR file:
```
Sb3RuBr
1.0
5.359 0.000 0.000
0.000 5.359 0.000
0.000 0.000 5.359
Sb Ru Br
3 1 1
Cartesian
0.000 0.000 2.679 Sb
0.000 2.679 0.000 Sb
2.679 0.000 0.000 Sb
2.679 2.679 2.679 Ru
0.000 0.000 0.000 Br
```

space-group type: Pm-3m (221)
ΔE_f (raw): 1.622 eV/atom
energy relative to the lowest polymorph listed for this composition: 633 kJ/mol of formula units
Fermi-level density of states: 5.51 states/eV/f.u.


[5]
NpSiN: relaxed, PBE.

POSCAR file:
```
NpSiN
1.0
3.394 0.000 0.000
0.000 3.394 0.000
0.000 0.000 7.874
Np Si N
2 2 2
Cartesian
0.848 0.848 1.332 Np
2.545 2.545 6.542 Np
0.848 2.545 3.937 Si
2.545 0.848 3.937 Si
0.848 0.848 6.983 N
2.545 2.545 0.891 N
```

space-group type: P4/nmm (129)
ΔE_f (raw): -0.663 eV/atom
energy relative to the lowest polymorph listed for this composition: 0 kJ/mol of formula units
Fermi-level density of states: 5.47 states/eV/f.u.


[6]
ErTmPdAu: relaxed, PBE.

POSCAR file:
```
ErTmPdAu
1.0
0.000 3.516 3.516
Brief:
Please copy the whole of the lines further above without altering anything.
Solution:
[1]
InAsSe2: relaxed, PBE.

POSCAR file:
```
InAsSe2
1.0
3.821 0.000 0.000
0.000 3.848 0.000
0.000 0.000 7.457
In As Se
1 1 2
Cartesian
0.000 0.000 0.000 In
1.911 0.000 3.728 As
0.000 1.924 3.728 Se
1.911 1.924 0.000 Se
```

space-group type: Pmmm (47)
ΔE_f (raw): 0.048 eV/atom
Fermi-level density of states: 2.23 states/eV/f.u.


[2]
ZrFeNi2Os: relaxed, PBE.

POSCAR file:
```
ZrFeNi2Os
1.0
4.256 0.000 0.000
0.000 4.256 0.000
0.000 0.000 4.463
Zr Fe Ni Os
1 1 2 1
Cartesian
0.000 0.000 0.000 Zr
2.128 2.128 2.231 Fe
0.000 2.128 2.231 Ni
2.128 0.000 2.231 Ni
2.128 2.128 0.000 Os
```

formation energy from the elements: 63.3 kJ/mol of atoms
space-group type: P4/mmm (123)
Fermi-level density of states: 5.72 states/eV/f.u.


[3]
Cu4C: relaxed, PBE.

POSCAR file:
```
Cu4C
1.0
3.848 0.000 0.000
0.000 3.848 0.000
0.000 0.000 3.848
Cu C
4 1
Cartesian
0.000 0.000 0.000 Cu
0.000 1.924 1.924 Cu
1.924 0.000 1.924 Cu
1.924 1.924 0.000 Cu
1.924 1.924 1.924 C
```

formation energy from the elements: 38.1 kJ/mol of atoms
space-group type: Pm-3m (221)
energy relative to the lowest polymorph listed for this composition: 0 kJ/mol of formula units
Fermi-level density of states: 2.52 states/eV/f.u.


[4]
Sb3RuBr: relaxed, PBE.

POSCAR file:
```
Sb3RuBr
1.0
5.359 0.000 0.000
0.000 5.359 0.000
0.000 0.000 5.359
Sb Ru Br
3 1 1
Cartesian
0.000 0.000 2.679 Sb
0.000 2.679 0.000 Sb
2.679 0.000 0.000 Sb
2.679 2.679 2.679 Ru
0.000 0.000 0.000 Br
```

space-group type: Pm-3m (221)
ΔE_f (raw): 1.622 eV/atom
energy relative to the lowest polymorph listed for this composition: 633 kJ/mol of formula units
Fermi-level density of states: 5.51 states/eV/f.u.


[5]
NpSiN: relaxed, PBE.

POSCAR file:
```
NpSiN
1.0
3.394 0.000 0.000
0.000 3.394 0.000
0.000 0.000 7.874
Np Si N
2 2 2
Cartesian
0.848 0.848 1.332 Np
2.545 2.545 6.542 Np
0.848 2.545 3.937 Si
2.545 0.848 3.937 Si
0.848 0.848 6.983 N
2.545 2.545 0.891 N
```

space-group type: P4/nmm (129)
ΔE_f (raw): -0.663 eV/atom
energy relative to the lowest polymorph listed for this composition: 0 kJ/mol of formula units
Fermi-level density of states: 5.47 states/eV/f.u.


[6]
ErTmPdAu: relaxed, PBE.

POSCAR file:
```
ErTmPdAu
1.0
0.000 3.516 3.516